(Excerpt)
=====
[1]
A structure of composition C4H7O3Sn. Source: OMol25; level of theory: ωB97M-V with the def2-TZVPD basis set.

Last column: Löwdin charge in e.
Geometry (Å):
H 0.298192 3.835873 -0.417133  -0.096
O 2.159637 1.028159 -0.565904  -0.182
C 2.163885 -0.057736 -0.024595  -0.231
C 0.849013 -0.606096 0.528644  -0.161
O 0.238206 -1.367753 -0.375205  -0.023
C -1.165083 -1.142734 -0.575221  -0.089
C -1.523116 -0.019846 0.383634  -0.159
O -0.299080 0.674830 0.586054  -0.372
Sn 0.436516 2.193970 -0.342301  1.400
H 3.018459 -0.749469 -0.099460  0.158
H 0.970943 -1.037264 1.535404  0.172
H -1.688100 -2.080329 -0.361439  0.147
H -1.317877 -0.864378 -1.626002  0.144
H -1.818119 -0.427455 1.361740  0.150
H -2.323474 0.620227 -0.008218  0.143

Forces on atoms 1 to 6 (eV/Å):
H 0.6 1.4 1.3
O -0.5 6.4 -2.1
C -1.0 -5.3 3.3
C 1.5 0.2 0.0
O -0.6 -0.4 -0.9
C -0.2 -0.5 -0.2

Output
Energy above the lowest of the compared OMol25 structures with the same formula, charge and spin, kcal/mol: 111.4
HOMO energy (spin up / spin down), eV: -10.69 / -11.93
Gap between HOMO and LUMO (spin up / spin down), eV: 5.5 / 6.9
LUMO energy (spin up / spin down), eV: -5.235 / -5.017
Net charge: +1


[2]
A cluster of 2 separate species, C3H6Cl2O2 in total. Source: OMol25; level of theory: ωB97M-V with the def2-TZVPD basis set.

Last column: Löwdin charge in e.
Geometry (Å):
C -1.036421 0.726996 0.568142  0.008
C -0.424768 -0.739723 0.283641  -0.436
O 0.696820 -1.255259 0.867588  -0.037
C -0.622619 -1.467023 -0.777050  -0.997
Cl -0.024221 -3.254450 -0.848354  0.593
Cl -1.887094 -1.177848 -1.885806  0.639
H -1.642246 0.954592 -0.360897  0.066
H -1.602481 0.800840 1.462974  0.053
H -0.321029 1.528504 0.730570  0.070
H 0.701679 -2.179931 0.563408  -0.032
O 1.503544 0.393454 -1.317372  -0.119
H 1.041794 0.444213 -2.345542  0.179
H 2.306119 0.869053 -1.178341  0.012

Forces on atoms 1 to 6 (eV/Å):
C 0.7 -1.8 -2.0
C 2.2 2.0 0.8
O -0.3 1.3 2.8
C -3.0 -2.6 -2.3
Cl -0.6 1.9 -0.5
Cl -0.3 -0.1 -0.6

Output
Energy above the lowest of the compared OMol25 structures with the same formula, charge and spin, kcal/mol: 75.8
HOMO energy, eV: -8.69
Gap between HOMO and LUMO, eV: 9.1
Structure (SMILES): CC(O)=C(Cl)Cl.O
LUMO energy, eV: 0.420


[3]
A cluster of 3 separate species, C35H57NO5 in total. Source: OMol25; level of theory: ωB97M-V with the def2-TZVPD basis set.

Last column: Löwdin charge in e.
Geometry (Å):
C -4.533860 -0.966829 2.758712  0.094
C -3.367757 -0.906990 3.137313  -0.053
C -1.923647 -1.131664 3.770867  -0.394
C -0.814195 -0.694038 2.728842  -0.132
C -0.954076 0.794056 2.171126  -0.164
C -1.835223 0.893572 0.824943  -0.191
C -0.947679 1.301777 -0.425934  -0.213
C -1.711232 2.101737 -1.568618  -0.194
C -0.591165 2.902767 -2.412519  -0.211
C 0.214400 1.941392 -3.422403  -0.185
C 1.478168 1.314311 -2.667492  -0.223
C 2.886463 1.629342 -3.324269  -0.189
C 3.982697 1.588452 -2.147033  -0.215
C 3.768431 0.382316 -1.116060  -0.220
C 3.715775 -1.056700 -1.785339  -0.218
C 4.989240 -1.319239 -2.715276  -0.255
C 4.648243 -2.591238 -3.653773  -0.129
C -1.870057 -0.083744 5.005229  -0.180
O -0.521458 0.178011 5.417235  -0.219
C -0.362139 1.509214 5.949121  -0.102
N -1.748390 -2.469045 4.377757  -0.012
C -1.116074 -3.468113 3.490284  -0.198
C -1.961096 -3.795943 2.181304  -0.177
C -3.429915 -4.125181 2.422160  -0.035
C -4.323221 -4.414396 1.258596  -0.044
C -3.722879 -4.368269 -0.116720  -0.244
C -4.694715 -4.628969 -1.353070  -0.091
C -2.281186 -4.092286 -0.385131  -0.036
C -1.389285 -3.801474 0.801773  -0.039
H -5.576599 -1.244817 2.442338  0.059
H 0.227869 -0.757969 3.193483  0.102
H -0.756150 -1.362577 1.804165  0.110
H 0.098706 1.118612 1.866451  0.108
H -1.308217 1.553701 2.926524  0.100
H -2.484615 -0.018483 0.660289  0.103
H -2.561699 1.759405 1.007809  0.107
H -0.065774 1.932709 -0.104073  0.097
H -0.524138 0.361580 -0.909510  0.117
H -2.246339 1.452087 -2.324846  0.105
H -2.430024 2.891579 -1.192552  0.103
H -1.053456 3.728109 -3.066567  0.090
=====

(Brief)
Next, find "-1.0 -5.3" and "0.117" in the entries earlier on, and type out these two lines and those between.

(Written answer)
C -1.0 -5.3 3.3
C 1.5 0.2 0.0
O -0.6 -0.4 -0.9
C -0.2 -0.5 -0.2

Output
Energy above the lowest of the compared OMol25 structures with the same formula, charge and spin, kcal/mol: 111.4
HOMO energy (spin up / spin down), eV: -10.69 / -11.93
Gap between HOMO and LUMO (spin up / spin down), eV: 5.5 / 6.9
LUMO energy (spin up / spin down), eV: -5.235 / -5.017
Net charge: +1


[2]
A cluster of 2 separate species, C3H6Cl2O2 in total. Source: OMol25; level of theory: ωB97M-V with the def2-TZVPD basis set.

Last column: Löwdin charge in e.
Geometry (Å):
C -1.036421 0.726996 0.568142  0.008
C -0.424768 -0.739723 0.283641  -0.436
O 0.696820 -1.255259 0.867588  -0.037
C -0.622619 -1.467023 -0.777050  -0.997
Cl -0.024221 -3.254450 -0.848354  0.593
Cl -1.887094 -1.177848 -1.885806  0.639
H -1.642246 0.954592 -0.360897  0.066
H -1.602481 0.800840 1.462974  0.053
H -0.321029 1.528504 0.730570  0.070
H 0.701679 -2.179931 0.563408  -0.032
O 1.503544 0.393454 -1.317372  -0.119
H 1.041794 0.444213 -2.345542  0.179
H 2.306119 0.869053 -1.178341  0.012

Forces on atoms 1 to 6 (eV/Å):
C 0.7 -1.8 -2.0
C 2.2 2.0 0.8
O -0.3 1.3 2.8
C -3.0 -2.6 -2.3
Cl -0.6 1.9 -0.5
Cl -0.3 -0.1 -0.6

Output
Energy above the lowest of the compared OMol25 structures with the same formula, charge and spin, kcal/mol: 75.8
HOMO energy, eV: -8.69
Gap between HOMO and LUMO, eV: 9.1
Structure (SMILES): CC(O)=C(Cl)Cl.O
LUMO energy, eV: 0.420


[3]
A cluster of 3 separate species, C35H57NO5 in total. Source: OMol25; level of theory: ωB97M-V with the def2-TZVPD basis set.

Last column: Löwdin charge in e.
Geometry (Å):
C -4.533860 -0.966829 2.758712  0.094
C -3.367757 -0.906990 3.137313  -0.053
C -1.923647 -1.131664 3.770867  -0.394
C -0.814195 -0.694038 2.728842  -0.132
C -0.954076 0.794056 2.171126  -0.164
C -1.835223 0.893572 0.824943  -0.191
C -0.947679 1.301777 -0.425934  -0.213
C -1.711232 2.101737 -1.568618  -0.194
C -0.591165 2.902767 -2.412519  -0.211
C 0.214400 1.941392 -3.422403  -0.185
C 1.478168 1.314311 -2.667492  -0.223
C 2.886463 1.629342 -3.324269  -0.189
C 3.982697 1.588452 -2.147033  -0.215
C 3.768431 0.382316 -1.116060  -0.220
C 3.715775 -1.056700 -1.785339  -0.218
C 4.989240 -1.319239 -2.715276  -0.255
C 4.648243 -2.591238 -3.653773  -0.129
C -1.870057 -0.083744 5.005229  -0.180
O -0.521458 0.178011 5.417235  -0.219
C -0.362139 1.509214 5.949121  -0.102
N -1.748390 -2.469045 4.377757  -0.012
C -1.116074 -3.468113 3.490284  -0.198
C -1.961096 -3.795943 2.181304  -0.177
C -3.429915 -4.125181 2.422160  -0.035
C -4.323221 -4.414396 1.258596  -0.044
C -3.722879 -4.368269 -0.116720  -0.244
C -4.694715 -4.628969 -1.353070  -0.091
C -2.281186 -4.092286 -0.385131  -0.036
C -1.389285 -3.801474 0.801773  -0.039
H -5.576599 -1.244817 2.442338  0.059
H 0.227869 -0.757969 3.193483  0.102
H -0.756150 -1.362577 1.804165  0.110
H 0.098706 1.118612 1.866451  0.108
H -1.308217 1.553701 2.926524  0.100
H -2.484615 -0.018483 0.660289  0.103
H -2.561699 1.759405 1.007809  0.107
H -0.065774 1.932709 -0.104073  0.097
H -0.524138 0.361580 -0.909510  0.117